To start ENVI LiDAR, select LiDAR > Launch ENVI LiDAR in the ENVI Toolbox. The user interface opens showing the toolbar, Main window, Layer Manager, Navigate window, and Operations Log.
By default, the toolbar, Layer Manager, Navigate window, and Operations Log are docked in the Main window, but you can undock them or hide them.
Unrelated to this entry: materials data =
+++
(1)
# Na2CaSi | the Materials Project | PBE | optimized geometry
data_Na2CaSi
_chemical_formula_sum 'Na8 Ca4 Si4'
_symmetry_space_group_name_H-M 'F -4 3 m'
_symmetry_Int_Tables_number 216
_symmetry_space_group_name_Hall 'F -4 2 3'
_cell_length_a 7.339
_cell_length_b 7.339
_cell_length_c 7.339
_cell_angle_alpha 90.00
_cell_angle_beta 90.00
_cell_angle_gamma 90.00
loop_
_atom_site_label
_atom_site_fract_x
_atom_site_fract_y
_atom_site_fract_z
Na1 0.000 0.000 0.000
Na2 0.250 0.250 0.250
Ca1 0.000 0.000 0.500
Si1 0.250 0.250 0.750
# ΔH_f (0 K): -0.05 eV per atom
# E (MP2020): -2.572 eV per atom

---

(2)
# Hg | the Materials Project | PBE | optimized geometry
data_Hg
_chemical_formula_sum 'Hg3'
_symmetry_space_group_name_H-M 'R -3 m'
_symmetry_Int_Tables_number 166
_symmetry_space_group_name_Hall '-R 3 2"'
_cell_length_a 3.5401
_cell_length_b 3.5401
_cell_length_c 23.2891
_cell_angle_alpha 90.00
_cell_angle_beta 90.00
_cell_angle_gamma 120.00
loop_
_atom_site_label
_atom_site_fract_x
_atom_site_fract_y
_atom_site_fract_z
Hg1 0.0000 0.0000 0.0000
# ΔH_f (0 K): 0.08 eV per atom
# energy above the lowest structure with this stoichiometry: 84 meV per atom

---

(3)
# SrMg6SiO8 | the Materials Project | PBE | optimized geometry
data_SrMg6SiO8
_chemical_formula_sum 'Sr1 Mg6 Si1 O8'
_symmetry_space_group_name_H-M 'P 4/m m m'
_symmetry_Int_Tables_number 123
_symmetry_space_group_name_Hall '-P 4 2'
_cell_length_a 4.520
_cell_length_b 4.520
_cell_length_c 8.884
_cell_angle_alpha 90.00
_cell_angle_beta 90.00
_cell_angle_gamma 90.00
loop_
_atom_site_label
_atom_site_fract_x
_atom_site_fract_y
_atom_site_fract_z
Sr1 0.000 0.000 0.000
Mg1 0.000 0.000 0.500
Mg2 0.000 0.500 0.265
Mg3 0.500 0.500 0.500
Si1 0.500 0.500 0.000
O1 0.000 0.000 0.273
O2 0.000 0.500 0.000
O3 0.000 0.500 0.500
O4 0.500 0.500 0.265
# ΔH_f (0 K): -2.60 eV per atom
# energy above the lowest structure with this stoichiometry: 0 meV per atom
# E (MP2020): -6.116 eV per atom

---

(4)
# Li3SbN2 | the Materials Project | PBE | optimized geometry
data_Li3SbN2
_chemical_formula_sum 'Li48 Sb16 N32'
_symmetry_space_group_name_H-M 'I a -3'
_symmetry_Int_Tables_number 206
_symmetry_space_group_name_Hall '-I 2b 2c 3'
_cell_length_a 10.578
_cell_length_b 10.578
_cell_length_c 10.578
_cell_angle_alpha 90.00
_cell_angle_beta 90.00
_cell_angle_gamma 90.00
loop_
_atom_site_label
_atom_site_fract_x
_atom_site_fract_y
_atom_site_fract_z
Li1 0.107 0.159 0.361
Sb1 0.106 0.106 0.106
N1 0.000 0.250 0.496
N2 0.250 0.250 0.250
# ΔH_f (0 K): -0.19 eV per atom
# energy above the lowest structure with this stoichiometry: 6 meV per atom
# E (MP2020): -4.615 eV per atom

---

(5)
# Ca2ZrNbO6 | the Materials Project | PBE | optimized geometry
data_Ca2ZrNbO6
_chemical_formula_sum 'Ca8 Zr4 Nb4 O24'
_symmetry_space_group_name_H-M 'F m -3 m'
_symmetry_Int_Tables_number 225
_symmetry_space_group_name_Hall '-F 4 2 3'
_cell_length_a 8.211
_cell_length_b 8.211
_cell_length_c 8.211
_cell_angle_alpha 90.00
_cell_angle_beta 90.00
+++
The entry goes on =
- To undock a window, double-click at the top of the window.
- To dock the window or the toolbar in the Main window again, double-click its title bar.
- To show or hide a window or the toolbar, select View > window name or View > Toolbar from the menu bar.
- To reset the toolbar and all the windows to the default layout, including reset the location of the ENVI LiDAR interface to its default position on your monitor, select View > Reset Windows from the menu bar.
Main Window
Next to the text, the page also holds records of crystals >
-- begin --
Compound: YCdCu3Se4
Source: Materials Project
Functional: PBE
Structure: relaxed

For the MP2020-corrected energy, the calculation gives -4.48 eV/atom. Its formation energy is -0.742 eV/atom. As for the crystal system: cubic. For the total magnetization, the calculation gives 0.00 Bohr magnetons per cell. As for the calculated volume: 24.7 Å³/atom. The final energy comes out at -4.27 eV per atom.

It has space group P-43m (No. 215), with a = 6.059 Å, b = 6.059 Å, c = 6.059 Å, α = 90.00°, β = 90.00° and γ = 90.00°. The inequivalent atoms are Y at (0.000, 0.000, 0.000), Cd at (0.500, 0.500, 0.500), Cu at (0.000, 0.000, 0.500) and Se at (0.250, 0.250, 0.250).
-- stop --
The Main window shows the area you are working on. Cursor coordinates and height display in the status bar of the Main window.
Zoom and Pan
- To zoom in and out, right-click and drag up or down across the view, or use the mouse wheel.
To pan, click both mouse buttons and drag in any direction across the image.
Note: This option does not work with some laptop internal mouse devices.
- To rotate the image along the x and z axes, click and drag across the view.
Jump to Coordinates
- To jump to specific coordinates, select View > Jump to Location from the menu bar. Select the Coordinate System you want to use from the drop-down list, and enter the coordinates in the fields provided.
Save the View
- To save the current view so you can return to it later, select View > Save from the menu bar. Enter a Display Name in the Select Display Name dialog and click OK.
- To display a saved view, select View > Display from the menu bar and select the view from the Saved Views dialog.
- To delete saved views, select View > Display from the menu bar and select the views to delete. Click Delete. To delete all saved positions, click Delete All.
Create a Screen Capture
- If Microsoft PowerPoint is installed on your machine, you can create a screen capture of the current view and automatically open it in a new or existing PowerPoint session. Click the Screenshot to PowerPoint button
on the toolbar, or select File > Screenshot to PowerPoint from the menu bar to capture the screen and launch PowerPoint. If a PowerPoint session already running, you will be prompted to open the image in a new session or the current one. The Operations Log displays the location and name of the saved bitmap.
- To create a screen capture of the current view that you can open later in other applications, press Ctrl+C on the keyboard keys. The Operations Log displays the location and name of the screen capture.
Return to the Default Position
- To return the display to the default position when you rotated from the Perspective View, click the Reset Perspective View button
on the toolbar.
- To return the display to the default position when you rotated from the Isometric View, click the Reset Isometric View button
on the toolbar.
Layer Manager
When you initially create a project, two layers are available in the Layer Manager: All Points, which contains the standard view of the raw point cloud, and DSM, which contains the digital surface model. Additional layers will appear when you annotate the view, when you calculate viewshed analysis, and after you process the data and the display toggles to QA Mode. When you are in QA mode, the Layer Manager shows the classification layers that were created during processing.
- To show or hide layers in the Main window, enable or disable the check box next to the layer name.
- To toggle the display of the Terrain, Buildings, or Trees vector layers between wireframe (lines only) or solid (filled), right-click the layer and select Wireframe or Solid.
- To view the filename and location of a vector layer, right-click the layer name and select File Information. Vector files are created when you specify them as output from the Project Properties dialog Outputs tab, or if you export them from the File > Export menu.
- To view the directory location of point layer files, right-click the layer name and select File Information. Point layer files are created when you select Produce Classified Point Cloud as output from the Project Properties dialog Outputs tab, or if you select File > Export > Point Cloud from the menu bar.
Navigate Window
The Navigate window shows a color Digital Surface Model (DSM) of the entire area. A DSM is an elevation model that includes the tops of buildings, trees, power lines, and any other objects. The area you select in this window is the area that displays in the Main window for processing or review. After you process the data, the Navigate window shows a grid overlay on the DSM. Correct and Reprocess Data describes how to select areas when you are in QA Mode.
Zoom and Pan
- To zoom in and out, right-click and drag up or down across the map, then release the right mouse button to zoom in or out. You can also zoom with the Zoom In and Zoom Out buttons, or, with Navigate window selected, use the mouse wheel.
To pan, click both mouse buttons and drag in any direction across the map.
Note: This option does not work with some laptop internal mouse devices.
Select an Area
- To select the area to display in the Main window, click and drag on the DSM. The selection is surrounded by a magenta rectangle. The smallest selection size is 30x30 meters; if you select an area smaller than that range, the size automatically increases to 30x30. The largest selection size is 2000x2000 meters.
- Click the jump buttons to move in regular jumps across the DSM. The distance per jump is set in the Jump field.
Set the View Point Density
Operations Log
The Operations Log shows information about the area, point density, ENVI LiDAR actions, warnings, errors, and processing status in black text. When LAS standards are referenced in the log, refer to the ASPRS web site for details. If you are running extensions from the Toolbox and you have a licensed copy of IDL with ENVI LiDAR, the Operations Log shows output from IDL in blue text. Errors for ENVI LiDAR and IDL appear in red text.
Also, in the Operations Log, you can:
Additional Windows
Other windows that can appear in the interface are the:
By default, these windows are not open when you start ENVI LiDAR. To show these windows, select View > window name from the menu bar.
Selecting View > Legacy Toolbox from the ENVI LiDAR menu bar will display the Toolbox. This was originally designed to show custom IDL extensions that used the legacy E3De API. This API has since been deprecated as LiDAR API routines were migrated to the ENVI API. Thus, the Legacy Toolbox no longer serves any purpose.
Custom extensions that were added using the ENVI LiDAR API will appear in the ENVI Toolbox.
See the following examples:
Cross Section Window
The Cross Section window shows the selected DEM cross section and point cloud points that are bounded in the volume defined in the Main window. This window does not appear when you open ENVI LiDAR; you must first create a cross section view.
The following additional controls apply to the Cross Section window:
- Use keyboard arrows Up/Down and Left/Right to pan the displayed area while the mouse is occupied in generating a change contour.
- The frame of the cross section in the Main window shows the volume that appears in the Cross Section window. The volume is selected when you create the cross section. See Create a Cross Section for details.